Sunday, March 10, 2013

(Sample) Night Recovery Review: RCSS Resurrect-P.M.

Managed to get my hands on a complementary sachet, so here's a review of the RCSS Resurrect-P.M.!

Decided to use the RCSS Resurrect-P.M. sample after leg day since it's the most taxing workout. I was slightly worried about the magnesium content initially since I have read that it could give weird lucid dreams. After doing abit of research, I finally decided that the magnesium content was low enough for me to give it a go.

Serving Size: 1 Scoop (8g)
Servings per Container: 25
Calories: 4

Crystal structures that have nothing to do with the article:
........
Here is a geometry-optimized CdCoH18N6Cl5 structure from Materials Project. Energies are from PBE.

Calculated values
Total magnetic moment (μB/f.u.): 0.00
Space-group type: Fd-3c (228)
V (Å³ per atom): 11.79

Geometry as POSCAR:
```
CdCoH18N6Cl5
1.0
0.0000 11.3489 11.3489
11.3489 0.0000 11.3489
11.3489 11.3489 0.0000
Cd Co H N Cl
8 8 144 48 40
Cartesian
5.6745 5.6745 5.6745
11.3489 11.3489 5.6745
11.3489 5.6745 11.3489
17.0234 11.3489 11.3489
5.6745 11.3489 11.3489
11.3489 17.0234 11.3489
11.3489 11.3489 17.0234
17.0234 17.0234 17.0234
0.0000 0.0000 0.0000
5.6745 5.6745 0.0000
5.6745 0.0000 5.6745
11.3489 5.6745 5.6745
0.0000 5.6745 5.6745
5.6745 11.3489 5.6745
5.6745 5.6745 11.3489
11.3489 11.3489 11.3489
7.7184 6.8987 0.8686
16.1549 9.3050 6.8987
10.1247 0.8686 9.3050
10.6484 9.4110 1.4919
7.6124 1.4919 6.3750
15.5315 6.3750 9.4110
17.0876 10.1673 7.9705
20.4018 11.2847 10.1673
18.2050 7.9705 11.2847
9.4110 6.3750 4.1825
12.8409 7.6124 6.3750
10.6484 4.1825 7.6124
5.6102 4.4928 2.2960
14.7274 11.4132 4.4928
12.5306 2.2960 11.4132
9.3050 10.1247 0.8686
6.8987 0.8686 7.7184
16.1549 7.7184 10.1247
10.1247 7.7184 4.8059
9.3050 4.8059 6.8987
12.2175 6.8987 7.7184
6.3750 7.6124 1.4919
15.5315 10.6484 7.6124
9.4110 1.4919 10.6484
11.4132 12.5306 2.2960
4.4928 2.2960 5.6102
14.7274 5.6102 12.5306
9.0529 6.8561 5.7387
11.2847 7.9705 6.8561
10.1673 5.7387 7.9705
14.9794 12.5732 6.5430
16.3228 13.2869 7.1664
15.0855 7.1664 12.0495
21.8293 13.3929 12.5732
21.2059 12.0495 13.2869
15.7992 6.5430 13.3929
7.6124 10.6484 4.1825
6.8987 9.3050 4.8059
12.2175 10.1247 9.3050
6.3750 4.1825 9.4110
7.7184 4.8059 10.1247
12.8409 9.4110 10.6484
2.2960 5.6102 4.4928
12.5306 14.7274 5.6102
11.4132 4.4928 14.7274
7.9705 10.1673 5.7387
6.8561 5.7387 9.0529
11.2847 9.0529 10.1673
13.2869 12.0495 9.8570
18.5153 15.0855 12.0495
16.3228 9.8570 15.0855
13.3929 15.7992 6.5430
12.5732 6.5430 14.9794
21.8293 14.9794 15.7992
15.7992 14.9794 10.4804
13.3929 10.4804 12.5732
17.8920 12.5732 14.9794
5.7387 9.0529 6.8561
10.1673 11.2847 9.0529
7.9705 6.8561 11.2847
12.0495 15.0855 7.1664
21.2059 16.3228 15.0855
13.2869 7.1664 16.3228
13.6450 12.5306 11.4132
16.9592 14.7274 12.5306
15.8418 11.4132 14.7274
15.0855 16.3228 9.8570
12.0495 9.8570 13.2869
18.5153 13.2869 16.3228
12.5732 13.3929 10.4804
17.8920 15.7992 13.3929
14.9794 10.4804 15.7992
7.7184 12.2175 6.8987
4.8059 6.8987 9.3050
10.1247 9.3050 12.2175
4.1825 9.4110 6.3750
10.6484 12.8409 9.4110
7.6124 6.3750 12.8409
6.8561 11.2847 7.9705
5.7387 7.9705 10.1673
9.0529 10.1673 11.2847
9.4110 15.5315 6.3750
1.4919 6.3750 7.6124
10.6484 7.6124 15.5315
14.7274 15.8418 11.4132
12.5306 11.4132 13.6450
16.9592 13.6450 15.8418
4.8059 10.1247 7.7184
9.3050 12.2175 10.1247
6.8987 7.7184 12.2175
0.8686 7.7184 6.8987
10.1247 16.1549 7.7184
9.3050 6.8987 16.1549
6.3750 12.8409 7.6124
4.1825 7.6124 10.6484
9.4110 10.6484 12.8409
11.4132 13.6450 12.5306
15.8418 16.9592 13.6450
14.7274 12.5306 16.9592
11.2847 18.2050 7.9705
10.1673 7.9705 17.0876
........

Followed the instructions pretty strictly, using the product a good 1 hour after my protein shake and 30 minutes before going off to bed. Managed to squeeze in around 8 hours of sleep as well since the next day was Saturday.

Woke up the next morning feeling totally refreshed and raring to go to the gym again. You know the feeling whereby you have enough good quality sleep for the night and your eyes are wide open about 15 minutes upon waking up? That was the exact feeling I had. Was totally recharged and refreshed mentally from the night's rest. Felt really good to have a good rest after leg day. Not sure if it was a psychological thing but I also felt that I was less sore than usual. A bonus and added relief was that I didn't experience any weird dreams of any sort. In fact, I had such sound sleep that I did not have any dreams at all.

What comes next are materials data, not part of the text =
+++
Here is a relaxed Na5Si6O18 crystal from the Materials Project database. Energies are from PBE.

Structure (POSCAR):
```
Na5Si6O18
1.0
7.3640 0.0000 0.0000
3.6288 6.4472 0.0000
3.6475 -2.0181 9.5567
Na Si O
5 6 18
Cartesian
0.0000 0.0000 0.0000
7.3166 4.6080 4.7693
7.5509 -0.0028 9.5345
7.0895 4.4319 0.0222
7.3238 -0.1790 4.7873
2.1083 0.6845 2.4049
5.1835 0.7078 7.2215
7.8440 2.2401 7.1166
6.7963 2.1890 2.4401
9.4569 3.7213 2.3351
12.5320 3.7446 7.1518
2.7482 2.2052 2.3315
4.7630 -0.1235 8.5476
2.5539 -0.2758 3.6222
6.8219 3.5589 7.1456
4.7663 -0.2718 5.9983
2.5602 -0.2176 1.1388
6.8367 0.9142 7.1831
5.9945 2.2067 3.8467
8.8021 2.2616 8.4046
5.8382 2.1675 1.1521
8.6459 2.2224 5.7099
7.8036 3.5149 2.3735
12.0801 4.6467 8.4178
9.8741 4.7009 3.5583
7.8184 0.8702 2.4111
12.0865 4.7049 5.9344
9.8773 4.5526 1.0090
11.8921 2.2239 7.2251
```

Calculated values
Energy ... -6.320 eV/atom
Symmetry ... P-1 (2)

Here is a relaxed U7Se12 crystal from the Materials Project database. Energies are from PBE.

Structure (POSCAR):
```
U7Se12
1.0
11.4973 0.0000 0.0000
-5.7486 9.9569 0.0000
0.0000 0.0000 3.9226
U Se
7 12
Cartesian
0.0000 0.0000 0.0000
-2.4636 7.1110 0.0000
0.8221 4.2679 0.0000
4.2185 1.4836 1.9613
1.6415 8.5349 0.0000
4.9243 5.5618 1.9613
8.1031 2.9115 1.9613
-1.4387 2.5060 0.0000
-1.3607 5.2306 1.9613
1.2229 2.0939 1.9613
-2.8590 9.9499 0.0000
-0.5384 8.5201 1.9613
1.8992 6.1632 1.9613
3.7867 3.6722 0.0000
6.4237 1.4433 0.0000
4.2977 7.4579 0.0000
9.0725 0.0121 1.9613
7.0355 4.8414 0.0000
6.9505 7.8509 1.9613
```

Calculated values
Energy ... -7.528 eV/atom
Symmetry ... P-6 (174)

Here is a relaxed CaAg3 crystal from the Materials Project database. Energies are from PBE.

Structure (POSCAR):
```
CaAg3
1.0
0.0000 3.4934 3.4934
3.4934 0.0000 3.4934
3.4934 3.4934 0.0000
Ca Ag
1 3
Cartesian
0.0000 0.0000 0.0000
1.7467 1.7467 1.7467
3.4934 3.4934 3.4934
5.2401 5.2401 5.2401
```

Calculated values
Energy ... -2.823 eV/atom
Symmetry ... Fm-3m (225)

Here is a relaxed TeMo2SeS2 crystal from the Materials Project database. Energies are from PBE.

Structure (POSCAR):
```
TeMo2SeS2
1.0
3.3081 0.0000 0.0000
-1.6540 2.8649 0.0000
0.0000 0.0000 37.5626
Te Mo Se S
2 4 2 4
Cartesian
0.0000 0.0000 0.0000
0.0000 0.0000 3.8220
0.0000 0.0000 8.9680
0.0000 0.0000 32.4159
0.0000 1.9099 1.9110
0.0000 1.9099 16.0244
0.0000 0.0000 14.3474
0.0000 0.0000 17.7018
0.0000 1.9099 7.4401
0.0000 1.9099 10.4966
0.0000 1.9099 30.8894
0.0000 1.9099 33.9430
```

Calculated values
Energy ... -6.719 eV/atom
Symmetry ... P3m1 (156)

Here is a relaxed Ca3La2Sb3O14 crystal from the Materials Project database. Energies are from PBE.

Structure (POSCAR):
```
Ca3La2Sb3O14
1.0
6.5488 -3.8189 0.0000
6.5488 3.8189 0.0000
-4.3163 0.0000 6.1924
Ca La Sb O
3 2 3 14
Cartesian
0.0000 0.0000 0.0000
-2.1581 0.0000 3.0962
6.5488 0.0000 0.0000
1.1163 1.9094 3.0962
1.1163 -1.9094 3.0962
3.2744 1.9094 0.0000
3.2744 -1.9094 0.0000
4.3907 0.0000 3.0962
-0.0144 0.0000 2.3485
0.8278 1.7631 5.6105
+++

Taste & Mix-ability
Blue Razz Dream. That's the flavour I had for the sample sachet. From the name of it, I was kind of expecting it to taste like blueberry or raspberry. I mean that's a totally valid assumption considering the name right?

Unfortunately, it did not taste anything like either of the two. It had medicinal taste despite being pretty sweet, kind of like a cough syrup. The SensaCool flavour technology used in the product can be tasted both during and after that drink. The novelty of the minty and cooling sensation distracts you abit from the medicinal taste but not by much. I particularly liked the sensation after the drink where it feels as if you have brushed your teeth when you exhale through your mouth. Just found it pretty interesting for a supplement to have this feature. But come to think of it, most of us are going to brush our teeth for real after slugging the drink before retiring to bed anyway.

Mix-abilty was not the best and leaves much to be desired. The white powder did not mix up too good in the 5oz of cold water that I used while shaken in a shaker bottle. Sediments settled at the bottom of the bottle and suspended particles were present in the shake. The problems I encountered with mix-ability might have been fault on my part as I did not shake up the drink properly since I am used to shakes having near perfect solubility. So yeah, maybe if I shake it up good enough, there would be fewer issues with the mix-ability.

Anti-clockwise from top: Sample sachet, unshaken powder with added water, shaken product.

Got the sample for free so I guess it's good value for a awesome night's sleep!

On a more serious note, a tub of RCSS Resurrect-P.M. costs about SGD$45 for 25 servings. That works out to be exactly SGD$1.80 per serving. Can't really comment on the value considering I have only used a single dose of the product. But it seems slightly on the steep side. If I do buy this in the future, I'll probably only use it on workout days or on really heavy days only.

8x Mr Olympia Mr Coleman looking absolutely SWOLE!

Besides the magnesium content concern, the RCSS Resurrect-P.M. gave me a pretty good vibe from the start as it's endorsed by the 8-time Mr Olympia (Yes, I'm swayed easily by good marketing.) Come on, who doesn't want to believe that using what Mr Coleman himself uses will get you results right?

Opening the sachet, there was a pretty pleasant smell from the white powder. Upon mixing, the bright neon blue solution (picture on top was slightly darker than in real life) got me feeling slightly perplexed. On one hand, it was interesting to have a workout supplement with this sort of colour but then again on the other hand it did not look like something that anyone would drink. The colour was unnatural and looked like in belonged in the  sign boards that lit the streets of Las Vegas. The taste was questionable as well. The results and efficacy of the product however, was a whole different story. I enjoyed a good night's rest and woke up with good energy and a bounce in my step. Felt really good upon waking up.

The results far outweigh the solubility and taste issue since most of us are more concerned with the results of the product. Also, the RCSS recommended to be taken "5 days on and 2 days off" at night and mixes in a small amount of water so the taste and solubility is not that big a issue as with whey supplements which many of us consume multiple times daily.

This being said, I am now more open to overnight supplements and I would not rule out purchasing a tub of RCSS Resurrect-P.M. in the near future. Then again, I think I would probably try out some slightly cheaper supplements first before coming back for a full review.


  1. Hey, I bought full product the same Blue Razz Dream flavour, but the colour of mixture is green not blue like you have. (sorry for my english)

  2. Hi, it might be due to the different formulations for various geographical areas. I think it is highly probable that mine is the asian formulation. If I do purchase the full product in the future, I'll definitely do a review on it again.

  3. Hey! Sorry to bother you! I'm looking for this product everywhere but no avail. Can I know where did you bought this product at?
